It's easy to setup updates in your scripts, want a guide?
Aug 11, 2017 18:04:34 GMT
Exilereven and chamchicaycuoc like this
Post by paladiex on Aug 11, 2017 18:04:34 GMT
So, the other day I setup a Github account and linked IntelliJ to push my updates to Github. I found out it's relatively easy to incorporate a few lines of code to download the newest lua updates from Github. Now everytime I save the script, it asks if I want to upload the changes, if I click yes then everyone who uses my bot get's the newest lua on their next startup. In the summoner's war scripts this isn't common practice yet, I was wondering if it's common knowledge to all of the script contributers/makers on the forum.
That's the section I use in my code, it takes around 3 seconds at the start of the script to run. No more updating the OP with the newest version, or finding a filehosting website to upload the file to. With a little patience you can also make a .lua file that will download the image directory again for the users
Is this common knowledge? It's free and easy to setup for users who already use the recommended file editor IntelliJ. Do you guys want a guide on setting it up?
I've gotten a little interest in this, here is the imageupdater.lua I made
--- This checks the version number on github to see if an update is needed ---
getNewestVersion = loadstring(httpGet(""))
latestVersion = getNewestVersion()
currentVersion = dofile(localPath .."version.lua")
if currentVersion == latestVersion then
toast ("You are running the most current version!")
httpDownload("", localPath .."version.lua")
httpDownload("", localPath .."PalPowerUp.lua")
Misplaced records of molecules:
Record 1
Below is a cluster of 2 separate species, C2H8O5Si in total in a non-equilibrium geometry, with properties calculated with ωB97M-V/def2-TZVPD.

Values from the calculation:
total energy: -20315.376 eV
maximum force: 6.0 eV Å⁻¹
lowest unoccupied orbital energy: 0.4 eV
Kohn-Sham gap: 9.342 eV
charge: 0

CARTESIAN COORDINATES (ANGSTROEM)
C 0.55130 -1.31243 0.66648
C 1.18824 0.14401 0.85375
O 1.53557 -2.27614 0.93830
O -0.00602 -1.59606 -0.62507
O -0.51636 -1.32140 1.53071
O -1.72849 1.69800 -0.56077
O 1.82878 0.28199 1.88900
Si -0.97631 2.19530 -1.86674
H 1.20670 -3.20548 0.87955
H -0.01506 -0.86524 -1.29968
H -1.04771 -1.95867 1.16529
H -1.47189 1.60695 0.26754
H 1.95445 -0.42185 2.47846
H -0.82388 1.02214 -2.79471
H -2.02162 3.23750 -2.22301
H 0.34231 2.77140 -1.29910

Mulliken population analysis, charges in e, atoms 1 to 6:
1 C 1.0568
2 C -0.5210
3 O -0.5413
4 O -0.5657
5 O -0.4781
6 O -0.3218

=====

Record 2
Below is the molecule C18H21NOS, with properties calculated with ωB97M-V/def2-TZVPD.

Values from the calculation:
SMILES string: Cc1ccccc1SCCNC(=O)CCc1ccccc1
total energy: -33380.693 eV
maximum force: 0.7 eV Å⁻¹
lowest unoccupied orbital energy: 0.7 eV
Kohn-Sham gap: 9.082 eV
charge: 0

CARTESIAN COORDINATES (ANGSTROEM)
C -3.98535 -0.51146 1.97049
C -3.74626 -0.11880 0.54574
C -4.50489 0.89898 -0.02422
C -4.30699 1.30224 -1.33068
C -3.34292 0.68150 -2.10749
C -2.58235 -0.33469 -1.56385
C -2.77252 -0.72060 -0.24551
S -1.71395 -2.01147 0.40519
C -0.14027 -1.09541 0.38907
H 0.62930 -1.82366 0.64654
H 0.03901 -0.72284 -0.61886
C -0.16898 0.05746 1.38613
N 1.06881 0.79845 1.37598
C 1.21086 1.94865 0.67056
O 0.28744 2.49210 0.10469
C 2.62760 2.49773 0.67243
C 3.40629 1.94835 -0.53612
C 3.45730 0.44664 -0.52706
C 4.19522 -0.22816 0.44014
C 4.21450 -1.61094 0.47813
C 3.49828 -2.34099 -0.45581
C 2.76886 -1.67986 -1.42872
C 2.74677 -0.29595 -1.46059
H 2.17337 0.21698 -2.21973
H 2.21362 -2.24451 -2.16323
H 3.51274 -3.42030 -0.42756
H 4.79198 -2.12046 1.23591
H 4.76651 0.33602 1.16486
H 2.92178 2.29512 -1.45010
H 4.42087 2.35410 -0.50995
H 3.13323 2.23088 1.60135
H 2.57214 3.58394 0.59566
H 1.89496 0.31753 1.69733
H -0.35863 -0.32440 2.39365
H -0.95917 0.76164 1.11078
H -1.83517 -0.83642 -2.16124
H -3.18611 0.98469 -3.13152
H -4.90660 2.09870 -1.74550
H -5.26029 1.38196 0.57919
H -3.44139 -1.41784 2.22040
H -3.66027 0.28843 2.63610
H -5.04690 -0.67886 2.14195

Mulliken population analysis, charges in e, atoms 1 to 6:
1 C -1.6106
2 C 0.8709
3 C -0.4811
4 C -0.5810
5 C -0.7470
6 C -0.4065

=====

Record 3
Below is a structure of composition C39H60N4O6SSeTc in a non-equilibrium geometry, with properties calculated with ωB97M-V/def2-TZVPD.

Values from the calculation:
total energy: -138043.283 eV
maximum force: 1.1 eV Å⁻¹
lowest unoccupied orbital energy (spin up / spin down): 0.0 / -0.9 eV
Kohn-Sham gap (spin up / spin down): 7.172 / 6.700 eV
<S²>: 3.77
spin multiplicity: 4
charge: 0

CARTESIAN COORDINATES (ANGSTROEM)
scriptExit("You have Updated PalPowerUp bot!")
That's the section I use in my code, it takes around 3 seconds at the start of the script to run. No more updating the OP with the newest version, or finding a filehosting website to upload the file to. With a little patience you can also make a .lua file that will download the image directory again for the users
Is this common knowledge? It's free and easy to setup for users who already use the recommended file editor IntelliJ. Do you guys want a guide on setting it up?
I've gotten a little interest in this, here is the imageupdater.lua I made
localPath = scriptPath()
imagePath = (localPath .. "images/")
httpDownload("", imagePath .."1starLvl0.png")
httpDownload("", imagePath .."1starLvl1.png")
httpDownload("", imagePath .."1starLvl2.png")
httpDownload("", imagePath .."1starLvl3.png")
httpDownload("", imagePath .."1starLvl4.png")
httpDownload("", imagePath .."1starLvl5.png")
Records of molecules that have nothing to do with the page
No. 1
56
Properties=species:S:1:pos:R:3:forces:R:3:nbo_charge:R:1 method="wB97M-V/def2-TZVPD" fmax_ev_per_a=2.62 e_above_lowest_kcal_mol=12.7 total_charge=0 homo_lumo_gap_ev="7.9 / 7.1" spin_multiplicity=2 homo_energy_ev="-7.518 / -7.382"
Ag -0.47141 -0.82521 0.04062 0.3 -0.6 0.6 0.905
C 0.01433 -2.88542 1.91287 0.9 -0.5 0.8 0.902
O -0.03756 -1.66627 2.25166 -0.3 -0.1 0.7 -0.738
O 0.04620 -3.11336 0.65863 -0.2 -0.6 -1.0 -0.595
O 0.13865 -3.88880 2.66705 -0.4 1.0 -0.3 -0.580
C 2.30747 1.66956 1.11038 0.8 -1.0 1.2 -0.631
C 2.92528 0.51979 0.31241 0.3 0.3 0.9 -0.059
C 4.27152 0.08584 0.93610 -0.8 0.5 -0.8 -0.070
O 4.03763 -0.28880 2.26434 0.3 0.0 0.5 -0.549
C 5.25473 -0.35276 3.00250 -0.4 -0.7 -0.5 -0.245
N 1.99890 -0.61837 0.25790 0.9 0.1 -0.6 -0.868
H 3.10596 2.28031 1.54546 -0.1 0.7 -0.9 0.208
H 1.96811 1.25107 2.06499 -0.8 -0.1 -0.4 0.229
H 1.53855 2.17206 0.53528 -0.1 0.3 0.3 0.217
H 3.13217 0.91109 -0.68850 0.0 -0.4 -0.2 0.175
H 4.97727 0.92256 0.85358 0.1 0.0 0.2 0.162
H 4.65098 -0.75346 0.33719 0.2 -0.1 0.2 0.159
H 5.62594 0.65404 3.18839 0.3 0.0 0.1 0.170
H 5.95604 -0.96589 2.42794 0.4 0.3 0.0 0.167
H 5.10195 -0.90954 3.92418 -0.3 0.3 0.1 0.200
H 2.45258 -1.28070 -0.37021 -0.4 -0.3 0.1 0.351
H 1.98887 -1.08980 1.16300 -0.2 0.2 0.1 0.407
C -5.07198 -0.49524 -0.32339 -1.8 1.2 0.2 -0.636
C -3.60050 -0.24899 -0.21018 0.8 0.0 0.9 -0.085
C -3.31586 0.40445 1.15285 0.4 -0.8 1.7 -0.070
O -1.93058 0.53113 1.48412 0.0 1.1 -1.5 -0.558
C -1.69965 1.02721 2.75794 0.3 -0.4 2.6 -0.272
N -2.80102 -1.51344 -0.36808 -1.6 1.0 -0.3 -0.825
H -5.57919 -1.07054 0.45617 0.7 -0.5 0.0 0.219
H -5.40201 -0.84440 -1.30255 0.3 -0.2 0.0 0.216
H -5.58857 0.46908 -0.19158 0.1 0.1 -0.3 0.214
H -3.35041 0.46492 -0.99792 0.4 -0.2 -0.1 0.193
H -3.68553 -0.25035 1.95921 -0.4 -0.3 -0.3 0.176
H -3.83408 1.34571 1.36631 0.0 0.2 -0.7 0.182
H -0.67048 1.21861 3.08264 0.4 -0.3 -1.4 0.215
H -1.94534 0.24962 3.49514 -0.5 0.1 0.0 0.188
H -2.15940 1.97183 3.07806 -0.8 -0.1 -0.7 0.163
H -3.26236 -2.17058 0.26226 0.4 -0.1 0.1 0.369
H -3.13378 -1.81250 -1.28625 0.5 -0.4 0.0 0.354
C 0.68186 -0.35237 -4.36872 0.3 0.2 0.0 -0.624
C 0.53562 -0.07502 -2.86557 -1.5 -0.9 -0.9 -0.075
C -0.50097 1.02632 -2.60015 0.4 -0.1 0.5 -0.063
O -0.69106 1.24060 -1.19475 0.3 0.8 -1.1 -0.568
C -1.36842 2.48152 -0.98109 -0.7 -1.3 -0.2 -0.257
N 0.01073 -1.30098 -2.21385 1.3 -0.2 0.0 -0.862
H -0.28611 -0.34091 -4.87397 0.1 0.4 -0.1 0.205
H 1.06758 -1.35941 -4.53977 0.1 0.0 0.2 0.215
H 1.42247 0.32171 -4.80558 -0.4 0.2 -0.3 0.214
H 1.53725 0.12041 -2.48803 -0.2 0.2 0.5 0.208
H -1.46174 0.69610 -3.01550 0.0 -0.1 -0.2 0.165
H -0.24721 1.97364 -3.08495 0.2 0.0 -0.1 0.181
H -2.29935 2.48032 -1.56811 0.2 0.2 -0.3 0.160
H -0.73254 3.30698 -1.29848 -0.1 0.3 0.5 0.182
H -1.72360 2.42090 0.04448 0.6 0.6 0.2 0.217
H -0.70001 -1.80348 -2.73641 -0.1 0.5 -0.3 0.368
H 0.80214 -1.94081 -2.22007 -0.2 -0.2 0.4 0.375

=====

No. 2
104
httpDownload("", imagePath .."1starLvl6.png")
httpDownload("", imagePath .."1starLvl7.png")
httpDownload("", imagePath .."1starLvl8.png")
httpDownload("", imagePath .."1starLvl9.png")